Wednesday, February 25, 2009

Hello. I am back. (take 2)

I know I said I was back and all, then I didn't post for a little. Sorry. I kinda realized that my life still sucked. But I am in a better mood now, because I had a really good day. After school, I learned how to tango, had some laughs with friends, got my brother's birthday present, took a nap, went to young life, signed up for camp, then hung out with Becca and Davey and some of Davey's friends at boy's night. I felt honored, because Becca and I were the only two girls ever allowed at boy's night. I am not sure if that's true, but it makes me feel specialer. On an unrelated note, I don't know who to take to prom. If you have any ideas or suggestions, hit me up. He has to be under 21. :/ OK, I am going to go because it's late, and I don't want to tie you up. G'night.
p.s. Ethan, I did it again! I deleted it all, and ctrl + z didn't work. :( I had to retype it.

Wednesday, February 18, 2009

Hello. I am back.

I am in a better mood. So, I think I am going to post on here again. I don't know why I am in a better mood, because things are still kinda bad, but I am so...yay! I think I am in a better mood because I have a new friend, who was my 'friend' before, but I didn't really know him. Like, I knew him, but I didn't. So we have been talking and hanging out, and I am happy because of that, because I like making new friends. Or, I could be happy because graduation is almost upon us, which is bittersweet, but not for the reason you think. (It is bitter because I haven't finished my application to TAMU-CC, sweet for...well...every other reason.) I could be happy because Chelsea Handlir and some British chick from LOST are talking about how gross red-heads are, and the girl is a red head so it's really funny because even she agrees. Like, red-head women are pretty, but men are (90% of the time) gross. Or, I could be happy because in 48 hours I am going to be so excited that i may pee myself. I think only 2 people will get that reference, but most will know what excitement I am referring to. That sounds dirty. Oh well. So, yes I am in a better mood. (Only I already typed this whole post, and I went to highlight it to do stuff, and I accidentally deleted it so I got mad) I will try to get back to posting regularly.

[The entry is interrupted by crystal structures]
<<<
[1]
VASP calculation (GGA-PBE) on crystalline Hf9Mo4P at its relaxed geometry.

Structure (POSCAR):
```
Hf9Mo4P
1.0
8.6402 0.0000 0.0000
-4.3201 7.4827 0.0000
0.0000 0.0000 8.6313
Hf Mo P
18 8 2
direct
0.0782 0.5391 0.2500 Hf
0.1979 0.3958 0.5467 Hf
0.1979 0.3958 0.9533 Hf
0.1979 0.8021 0.5467 Hf
0.1979 0.8021 0.9533 Hf
0.3958 0.1979 0.0467 Hf
0.3958 0.1979 0.4533 Hf
0.4609 0.5391 0.2500 Hf
0.4609 0.9218 0.2500 Hf
0.5391 0.0782 0.7500 Hf
0.5391 0.4609 0.7500 Hf
0.6042 0.8021 0.5467 Hf
0.6042 0.8021 0.9533 Hf
0.8021 0.1979 0.0467 Hf
0.8021 0.1979 0.4533 Hf
0.8021 0.6042 0.0467 Hf
0.8021 0.6042 0.4533 Hf
0.9218 0.4609 0.7500 Hf
0.0000 0.0000 0.0000 Mo
0.0000 0.0000 0.5000 Mo
0.1106 0.2212 0.2500 Mo
0.1106 0.8894 0.2500 Mo
0.2212 0.1106 0.7500 Mo
0.7788 0.8894 0.2500 Mo
0.8894 0.1106 0.7500 Mo
0.8894 0.7788 0.7500 Mo
0.3333 0.6667 0.7500 P
0.6667 0.3333 0.2500 P
```

## Properties
- total magnetization (μB/f.u.) = 0.0
- space group = P6_3/mmc
- electronic total energy (eV per atom) = -10.19
- formation energy from the elements (kJ/mol of formula units) = -413

[2]
VASP calculation (GGA-PBE) on crystalline Hf8Mo5S at its relaxed geometry.

Structure (POSCAR):
```
Hf8Mo5S
1.0
8.4654 0.0000 0.0000
0.0000 4.5560 7.0826
0.0000 -4.5560 7.0826
Hf Mo S
16 10 2
direct
0.0000 0.0592 0.6970 Hf
0.0000 0.0625 0.0625 Hf
0.0000 0.6970 0.0592 Hf
0.1993 0.3966 0.3966 Hf
0.2034 0.4193 0.9979 Hf
0.2034 0.9979 0.4193 Hf
0.3095 0.2127 0.7873 Hf
0.3095 0.7873 0.2127 Hf
0.3105 0.8083 0.8083 Hf
0.5000 0.1668 0.1668 Hf
0.6905 0.2127 0.7873 Hf
0.6905 0.7873 0.2127 Hf
0.6895 0.8083 0.8083 Hf
0.7966 0.4193 0.9979 Hf
0.7966 0.9979 0.4193 Hf
0.8007 0.3966 0.3966 Hf
0.0000 0.3828 0.7105 Mo
0.0000 0.7105 0.3828 Mo
0.0000 0.7155 0.7155 Mo
0.2520 0.6030 0.6030 Mo
0.5000 0.1548 0.5017 Mo
0.5000 0.4839 0.4839 Mo
0.5000 0.5003 0.8233 Mo
0.5000 0.5017 0.1548 Mo
0.5000 0.8233 0.5003 Mo
0.7480 0.6030 0.6030 Mo
0.0000 0.2507 0.2507 S
0.5000 0.9642 0.9642 S
```

## Properties
- total magnetization (μB/f.u.) = 0.0
- space group = Amm2
- electronic total energy (eV per atom) = -10.09
- formation energy from the elements (kJ/mol of formula units) = -366

[3]
VASP calculation (GGA-PBE) on crystalline Hf9Mo4Se at its relaxed geometry.

Structure (POSCAR):
```
Hf9Mo4Se
1.0
8.7360 0.0000 0.0000
-4.3680 7.5656 0.0000
0.0000 0.0000 8.6312
Hf Mo Se
18 8 2
direct
0.0815 0.5407 0.2500 Hf
0.1950 0.3900 0.5448 Hf
0.1950 0.3900 0.9552 Hf
0.1950 0.8050 0.5448 Hf
0.1950 0.8050 0.9552 Hf
0.3900 0.1950 0.0448 Hf
0.3900 0.1950 0.4552 Hf
0.4593 0.5407 0.2500 Hf
0.4593 0.9185 0.2500 Hf
0.5407 0.0815 0.7500 Hf
0.5407 0.4593 0.7500 Hf
0.6100 0.8050 0.5448 Hf
0.6100 0.8050 0.9552 Hf
0.8050 0.1950 0.0448 Hf
0.8050 0.1950 0.4552 Hf
0.8050 0.6100 0.0448 Hf
0.8050 0.6100 0.4552 Hf
0.9185 0.4593 0.7500 Hf
0.0000 0.0000 0.0000 Mo
0.0000 0.0000 0.5000 Mo
0.1102 0.2204 0.2500 Mo
0.1102 0.8898 0.2500 Mo
0.2204 0.1102 0.7500 Mo
0.7796 0.8898 0.2500 Mo
0.8898 0.1102 0.7500 Mo
0.8898 0.7796 0.7500 Mo
0.3333 0.6667 0.7500 Se
>>>
[Back to the entry]

Saturday, February 7, 2009


I know I said I wasn't going to post for awhile, but some information has come to my attention.
Apparently I am a horrible person.
That is all.

Tuesday, February 3, 2009

1 thing 2 say, 3 words, 4 you.

Why even bother?
Ok, so that is not exactly what the Plain White T's sing, but it is what I am feeling.
Ugh. I am in a bad mood. Most my friends know I don't like to talk about my feelings and junk, and I don't complain when I am upset usually. I just don't. But, I always thought I did a pretty good job of hiding when I was upset. Well, my visiting Uncle just informed me that I just smiled for the first time since he has been here. Well, maybe it's me, maybe it's the fact that I am grumpier when around him because he is an asshole.
In fact. most the men in my family end up being assholes.
I am in a bad mood.
I don't think I am going to post for a little bit.

Impromtu Story (I made it while trying to entertain Ryan.)

There once was a puppy. This was a very cute puppy. He was known around town. This puppy liked to walk to the butcher everyday, and get scraps of meat. One day, while walking to the butcher, he got hit by a car and died. The man inside the car never noticed though, because he was getting head from his sister-in-law. His sister-in-law had a cold sore though. So in turn, the puppy killer went home and slept with his wife giving her herpes. The wife then went to work the next day, not knowing she had herpes she got called into her bosses office to discuss her presentation (which was really their way of saying one of them was horney). After a quick romp in the office, the boss called in his secretary to clean up (which was their way of saying one was horney). Now the secretary went home that night to her devoted boyfriend of 3 years with herpes from her boss. They spent the night together, like they always do. He pleased her in more ways than one, so he ended up getting a cold sore. He went to visit his grandmother the next day, and when he gave her a kiss hello, she contracted a cold sore as well. That night, granny was feeling frisky, so she went to her neighbors house, and the old man and her got down (which they often do on wednesday nights after bridge). The old man went to visit his grandson the next and asked him to take him to get some medicine for a rash he had (below the belt). On the way, the grandson complained about how he suspected his girlfriend of sleeping with her brother-in-law. The grandson wasn't paying attention however, and hit a man in the street with his car. The man turned out to be his girlfriends brother-in-law, and the puppy killer.
the end.
oh, and the old man got his ointment.